=====
A relaxed YbTlW2O8 crystal. Source: Alexandria, functional GGA+U.

Properties
As for the magnetic moment: 0.91 μB/f.u. The calculation puts the energy at -0.5072 Ry/atom. Its density of states at the Fermi level is 42.4 states/eV/cell. As for the crystal system: monoclinic.

Unit cell a=7.770 b=7.770 c=7.478 alpha=118.13 beta=118.13 gamma=87.60
Element x y z (fractional)
Yb: 0.223 0.777 0.750
Yb: 0.777 0.223 0.250
Tl: 0.220 0.780 0.250
Tl: 0.780 0.220 0.750
W: 0.300 0.310 0.796
W: 0.310 0.300 0.296
W: 0.690 0.700 0.704
W: 0.700 0.690 0.204
O: 0.043 0.249 0.200
O: 0.055 0.346 0.620
O: 0.249 0.043 0.700
O: 0.255 0.376 0.062
O: 0.346 0.055 0.120
O: 0.376 0.255 0.562
O: 0.377 0.599 0.538
O: 0.401 0.623 0.962
O: 0.599 0.377 0.038
=====

Copy only the last part of the block further up, starting with the line that has "Its density".

As for the magnetic moment: 0.91 μB/f.u. The calculation puts the energy at -0.5072 Ry/atom. Its density of states at the Fermi level is 42.4 states/eV/cell. As for the crystal system: monoclinic.

Unit cell a=7.770 b=7.770 c=7.478 alpha=118.13 beta=118.13 gamma=87.60
Element x y z (fractional)
Yb: 0.223 0.777 0.750
Yb: 0.777 0.223 0.250
Tl: 0.220 0.780 0.250
Tl: 0.780 0.220 0.750
W: 0.300 0.310 0.796
W: 0.310 0.300 0.296
W: 0.690 0.700 0.704
W: 0.700 0.690 0.204
O: 0.043 0.249 0.200
O: 0.055 0.346 0.620
O: 0.249 0.043 0.700
O: 0.255 0.376 0.062
O: 0.346 0.055 0.120
O: 0.376 0.255 0.562
O: 0.377 0.599 0.538
O: 0.401 0.623 0.962
O: 0.599 0.377 0.038